8 Things to Discuss During Your Doctor’s Visit

According to a study by an associate dean at the University of California, a typical male asks no questions when visiting the doctor. In contrast, women fair slightly better by asking six questions on average. Not such a great improvement, though, is it?

Some studies also show that 50% of the patients leave the doctor’s office even if they don’t understand how to care for themselves. And only 15% of the patients fully comprehend what their doctor has explained. These stats paint a bleak picture of how patients care for themselves—without any tangible guidance from their doctor.

In this situation, doctors are not the only ones to be blamed. Undoubtedly, they must ensure that patients understand what they are told when they leave their clinic. Their language should be simple, without complicated jargon, and patients should be given time to speak their concerns.

But the responsibility lies on patients, too; they must ask questions until they are satisfied. So instead of making their visit to the doctor only about listening, make sure to discuss your concerns as well.

If you have an appointment with your doctor soon, here is what you must ask them.

  • Enquire about your illness

The first thing you must get from your doctor’s visit is more knowledge about your illness. Ask them what your illness is and how it can unfold over time. For example, discuss all possible treatment options if you have a complicated illness such as mesothelioma (a deadly lung cancer). Being diagnosed with cancer is not easy, and you need to be mentally and emotionally prepared to fight this battle. Asking questions can help you cope with it better. For example, your doctor can tell you about the mesothelioma survival rate, how you got the disease, what changes you need to make in your lifestyle, and much more.

  • Ask about the test

Some doctors try to diagnose patients without any tests. And the patient believes their judgment, not knowing any better. Unfortunately, this neglect often leads to other problems when the wrong medicines are prescribed.

What comes next are records of crystals, not part of the piece:
# 1
This record from Alexandria describes an optimized crystal structure of LiMnW2. The functional is PBE.

Cell: 3.6300 3.6300 8.3285 Å, 90.00 90.00 90.00°
With the nearest neighbours (Å) after each atom.
Element x y z (fractional)
Li: 0.0000 0.0000 0.0000  8 W 2.57-2.76, 4 Mn 2.76
Li: 0.5000 0.5000 0.5000  8 W 2.57-2.76, 4 Mn 2.76
Mn: 0.0000 0.5000 0.7500  8 W 2.57-2.76, 4 Li 2.76
Mn: 0.5000 0.0000 0.2500  8 W 2.57-2.76, 4 Li 2.76
W: 0.0000 0.0000 0.5000  4 Li 2.57, 4 Mn 2.76, 4 W 2.76
W: 0.0000 0.5000 0.2500  4 Mn 2.57, 4 W 2.76, 4 Li 2.76
W: 0.5000 0.0000 0.7500  4 Mn 2.57, 4 W 2.76, 4 Li 2.76
W: 0.5000 0.5000 0.0000  4 Li 2.57, 4 Mn 2.76, 4 W 2.76

The calculated formation energy is 0.516 eV/atom. The space group is I-4m2 (119). For the total energy, the calculation gives -34.93 eV per formula unit. Its theoretical density is 13.0 g/cm3. For the density of states at the Fermi level, the calculation gives 7.20 states/eV per cell.


# 2
This record from Alexandria describes an optimized crystal structure of YGaH3. The functional is PBE.

Cell: 4.1446 4.1446 4.1446 Å, 90.00 90.00 90.00°
With the nearest neighbours (Å) after each atom.
Element x y z (fractional)
Y: 0.0000 0.0000 0.0000  6 H 2.07
Ga: 0.5000 0.5000 0.5000  12 H 2.93
H: 0.0000 0.0000 0.5000  2 Y 2.07
H: 0.0000 0.5000 0.0000  2 Y 2.07
H: 0.5000 0.0000 0.0000  2 Y 2.07

The space group is Pm-3m (221). For the total energy, the calculation gives -20.04 eV per formula unit. Its theoretical density is 3.8 g/cm3. For the density of states at the Fermi level, the calculation gives 1.12 states/eV per cell.


# 3
This record from Alexandria describes an optimized crystal structure of Mg2IrBr. The functional is PBE.

Cell: 3.8823 3.8823 10.1496 Å, 90.00 90.00 90.00°
With the nearest neighbours (Å) after each atom.
Element x y z (fractional)
Mg: 0.0000 0.0000 0.0000  4 Ir 2.75
Mg: 0.0000 0.5000 0.2500  4 Br 2.75
Mg: 0.5000 0.0000 0.7500  4 Br 2.75
Mg: 0.5000 0.5000 0.5000  4 Ir 2.75
Ir: 0.0000 0.0000 0.5000  4 Mg 2.75
Ir: 0.5000 0.5000 0.0000  4 Mg 2.75
Br: 0.0000 0.5000 0.7500  4 Mg 2.75
Br: 0.5000 0.0000 0.2500  4 Mg 2.75

The space group is I-4m2 (119). For the total energy, the calculation gives -13.49 eV per formula unit. Its theoretical density is 7.0 g/cm3. For the density of states at the Fermi level, the calculation gives 3.12 states/eV per cell.


# 4
This record from Alexandria describes an optimized crystal structure of SrSbNF2. The functional is PBE.

Cell: 4.5886 4.5886 4.3619 Å, 90.00 90.00 90.00°
With the nearest neighbours (Å) after each atom.
Element x y z (fractional)
Sr: 0.0000 0.0000 0.0000  8 F 3.17, 4 N 3.24
Sb: 0.5000 0.5000 0.5000  2 N 2.18, 4 F 2.29
N: 0.5000 0.5000 0.0000  2 Sb 2.18
F: 0.0000 0.5000 0.5000  2 Sb 2.29
F: 0.5000 0.0000 0.5000  2 Sb 2.29

However, if the doctor you visit is professional, there is a good chance they will conduct some tests to ensure what is happening. When they write about tests on the prescription, don’t just pick your file up and leave. Ask your doctor about these tests, why you are asked to undergo them, and how they will help them know your condition. When you leave the doctor’s room, you should be sure of the purpose of what you are about to do.

  • Enquire about medication

Here the page breaks off for records of crystals.
1.
Here is an optimized crystal structure of LuMnCo2 from Alexandria. Energies are from PBE.

Calculated total energy   -84.3 eV/cell
Total moment   0.939 μB per atom
Formation enthalpy at 0 K   -0.05 eV/atom
Relative energy among the computed polymorphs   0.015 eV per atom
D(E_F)   1.079 states/eV/atom

abc: 4.0098 4.0098 13.6206
angles: 90.00 90.00 120.00
With the nearest neighbours (Å) after each atom.
Space group R-3m (No. 166, hexagonal axes)
Symmetry-distinct sites (fractional):
Lu  0.0000  0.0000  0.0000 x3  8 Co 2.69-2.96
Mn  0.0000  0.0000  0.5000 x3  6 Co 2.35
Co  0.0000  0.0000  0.1978 x6  3 Mn 2.35, 3 Co 2.47


2.
Here is an optimized crystal structure of PtW2Br from Alexandria. Energies are from PBE.

Formation energy without anion corrections   700 meV per atom
Calculated total energy   -61.6 eV/cell
Total moment   0.000 μB per atom
Relative energy among the computed polymorphs   0.295 eV per atom
D(E_F)   0.722 states/eV/atom

abc: 10.2532 3.0083 4.8331
angles: 90.00 107.02 90.00
With the nearest neighbours (Å) after each atom.
Space group Cm (No. 8)
Symmetry-distinct sites (fractional):
Pt  0.0000  0.0000  0.0000 x2  5 W 2.77-2.83, 2 Pt 3.01
W  0.2390  0.5000  0.0888 x2  2 W 2.57, 2 Br 2.61, 3 Pt 2.80-2.83
W  0.4262  0.0000  0.4105 x2  2 W 2.57, 1 Br 2.65, 2 Pt 2.77
Br  0.2204  0.0000  0.6374 x2  3 W 2.61-2.65

----------

DFT (PBE-GGA) results for an optimized crystal structure of Tb14PrY.

## Properties
- space group = No. 38
- formation enthalpy at 0 K (eV/atom) = 0.002
- crystal system = orthorhombic
- DFT total energy (eV/atom) = -4.752

Cell and atoms, written as extended XYZ:
```
16
Lattice="-1.370 -3.939 -5.835 -3.097 -1.655 6.254 -8.893 6.908 -2.576" Properties=species:S:1:pos:R:3 pbc="T T T"
Tb -3.025 -1.751 5.748
Tb -2.161 -2.893 -0.296
Tb -5.636 2.151 -0.677
Tb -1.477 -0.925 2.618
Tb -7.869 -0.646 -0.467
Tb -3.709 -3.720 2.827
Tb -7.588 3.512 -3.340
Tb -3.106 0.030 -2.042
Tb -9.823 0.713 -3.131
Tb -5.340 -2.768 -1.833
Tb -9.121 2.670 -0.214
Tb -4.670 -0.787 1.074
Tb -8.269 1.538 -6.263
Tb -3.794 -1.938 -4.967
Pr -6.321 0.182 -3.592
Y -7.184 1.323 2.451
```

----------

No. 1
VASP calculation (GGA-PBE) on a geometry-optimized Sb2TeAsCl structure.

a b c (Å): 5.272 5.272 5.460
angles (deg): 90.00 90.00 90.00
Sites, in units of the cell vectors:
Sb  0.000  0.500  0.000
Sb  0.500  0.000  0.000
Te  0.000  0.000  0.500
As  0.500  0.500  0.500
Cl  0.000  0.000  0.000

Calculated values
formation energy without anion corrections: 4.9 eV/f.u.
E: -2.602 eV/atom



No. 2
VASP calculation (GGA-PBE) on a geometry-optimized Sb2TeAsCl structure.

a b c (Å): 5.411 5.411 5.496
angles (deg): 90.00 90.00 90.00

Perhaps you have a condition requiring you to take medicines at various times during the day. But the problem with people is that they take pills without knowing what they are for. Therefore, when your doctor writes the medication, ask them about their efficacy and what they will do to cure your condition.

Ask about the side effects of the medication and how they are likely to occur. Also, don’t forget to ask about the possibility of drug antagonism. This happens when one drug interferes with another drug or supplement, leading to serious health issues. To avoid drug interference, bring your previous prescriptions and medications you might be taking. Then, your doctor can look at them and prescribe accordingly.

  • Find out the alternatives

Always enquire about alternative options when a medication is prescribed, and there is a chance of side effects. In medicines, substitute options almost always exist. Therefore, you can ask your doctor about other medication options that might have better results and fewer chances of reactions.

Sometimes cost is a reason too for asking about alternatives. For example, some medications are more expensive than others because a big brand manufactures them. You can request your doctor to write affordable options, especially when the treatment is long-term.

  • Ask about the online resources you can visit

With so many people searching about their illnesses and even more writing about them, you might not know which resource or website to trust. It is okay to ask your doctor about the website they trust and can recommend you to learn more about your illness.

The most credible websites are less commercial and support their claims with research and evidence. A rule of thumb when visiting online resources is to focus more on websites supported by the healthcare system, a prestigious university, or the government.

  • Know about new vaccines and screenings

Vaccines and screenings keep you healthy. The former prepares your body for the attack of the disease they are designed for, and the latter helps you locate the problem at its earliest stage. If you qualify for new vaccines, know about their schedule and plan to get the shots at your earliest.

• Unrelated to this article: crystal structures:
~~~
Entry 1:
! PBE PmMg2GaNi2, relaxed; values from VASP
&SYSTEM
  ibrav = 0, nat = 6, ntyp = 4
/
ATOMIC_SPECIES
Pm 145.00 Pm.upf
Mg 24.30 Mg.upf
Ga 69.72 Ga.upf
Ni 58.69 Ni.upf
ATOMIC_POSITIONS angstrom
Pm -0.860 -0.490 3.351
Mg 2.448 0.404 2.509
Mg -0.112 2.760 2.196
Ga 0.000 0.000 0.000
Ni 0.896 1.517 4.095
Ni 1.440 1.646 0.610
CELL_PARAMETERS angstrom
-3.421 1.866 3.038
1.701 -2.846 3.663
4.056 4.144 -1.996
! Calculated formation energy ... -0.0887 eV per atom
! Energy ... -0.2825 Ry per atom

=====

Entry 2:
! PBE PmMg2Ga2Ni, relaxed; values from VASP
&SYSTEM
  ibrav = 0, nat = 6, ntyp = 4
/
ATOMIC_SPECIES
Pm 145.00 Pm.upf
Mg 24.30 Mg.upf
Ga 69.72 Ga.upf
Ni 58.69 Ni.upf
ATOMIC_POSITIONS angstrom
Pm 0.261 -3.564 -0.288
Mg 3.092 -1.674 1.215
Mg 0.070 -2.049 3.105
Ga 1.971 -3.658 2.428
Ga 1.191 -0.065 1.891
Ni 0.000 0.000 0.000
CELL_PARAMETERS angstrom
-2.761 -3.938 1.602
3.284 -3.189 -2.178
2.640 3.404 4.895
! Calculated formation energy ... 0.1152 eV per atom
! Energy ... -0.2338 Ry per atom

=====

Entry 3:
! PBE PrMgGaNi, relaxed; values from VASP
&SYSTEM
  ibrav = 0, nat = 4, ntyp = 4
/
ATOMIC_SPECIES
Pr 140.91 Pr.upf
Ni 58.69 Ni.upf
Mg 24.30 Mg.upf
Ga 69.72 Ga.upf
ATOMIC_POSITIONS angstrom
Pr -2.375 0.157 1.779
Ni -4.749 0.313 3.557
Mg -7.124 0.470 5.336
Ga 0.000 0.000 0.000
CELL_PARAMETERS angstrom
-3.606 2.851 1.552
-4.354 -1.908 0.973
-1.539 -0.317 4.590
! Calculated formation energy ... -0.2964 eV per atom
! Energy ... -0.3008 Ry per atom

=====

Entry 4:
! PBE PrMg2GaNi2, relaxed; values from VASP
&SYSTEM
  ibrav = 0, nat = 6, ntyp = 4
/
ATOMIC_SPECIES
Pr 140.91 Pr.upf
Mg 24.30 Mg.upf
Ga 69.72 Ga.upf
Ni 58.69 Ni.upf
ATOMIC_POSITIONS angstrom
Pr 1.632 -2.738 -1.439
Mg 0.343 -3.004 1.854
Mg -1.863 -2.894 -0.857
Ga 0.000 0.000 0.000
Ni -0.113 -4.487 -0.090
Ni -1.407 -1.411 1.088
CELL_PARAMETERS angstrom
-0.574 -2.628 -4.150
3.838 -2.848 1.272
-4.784 -0.422 3.876
! Calculated formation energy ... -0.1043 eV per atom
! Energy ... -0.2840 Ry per atom

=====

Entry 5:
! PBE PrMgGa2Ni2, relaxed; values from VASP
&SYSTEM
  ibrav = 0, nat = 6, ntyp = 4
/
ATOMIC_SPECIES
Pr 140.91 Pr.upf
Mg 24.30 Mg.upf
Ga 69.72 Ga.upf
Ni 58.69 Ni.upf
ATOMIC_POSITIONS angstrom
Pr 0.000 0.000 0.000
Mg -1.307 2.802 1.569
Ga -4.000 3.625 1.109
Ga -2.466 0.224 1.956
Ni -3.048 1.584 -0.034
Ni -3.418 2.265 3.099
CELL_PARAMETERS angstrom
-2.563 0.656 -3.306
-1.290 -2.412 3.232
-2.614 5.604 3.138
! Calculated formation energy ... -0.4751 eV per atom
! Energy ... -0.3288 Ry per atom

=====

Entry 6:
! PBE Pu2MgGa4Ni3, relaxed; values from VASP
&SYSTEM
  ibrav = 0, nat = 10, ntyp = 4
/
ATOMIC_SPECIES
Pu 244.00 Pu.upf
Mg 24.30 Mg.upf
Ga 69.72 Ga.upf
Ni 58.69 Ni.upf
ATOMIC_POSITIONS angstrom
Pu -2.725 -1.505 -0.882
Pu -5.609 -6.051 2.980
Mg -4.036 -4.734 0.021
Ga 0.262 -1.912 -2.056
Ga 0.000 0.000 0.000
Ga -6.350 -3.885 0.870
Ga -1.984 -3.671 1.228
Ni -4.298 -2.822 2.077
Ni -8.215 -5.109 1.771
Ni -0.119 -2.447 0.327
CELL_PARAMETERS angstrom
-1.501 -0.417 -3.672
~~~

As for screenings, some common ones you must undergo periodically include blood pressure, blood sugar levels, cholesterol levels, etc.

  • Ask if you have a healthy weight

More inclination toward unhealthy habits and lifestyle choices such as fast food, sleep deprivation, and excessive alcohol consumption has made weight gain and obesity common health issues. Therefore, when you visit your doctor, ask them if you have a healthy weight according to your height and age. If you don’t fall within the healthy weight bracket, ask for some evidence-based tips to help you manage your weight.

  • Ask them to write the prescription legibly

It is common for a doctor to write in a way that is often not decipherable to the patients. Apart from the names of the medicines, which always look unfamiliar, reading the dosage requirements might be difficult too. Therefore, when the doctor writes the medications, politely ask them to write legibly. Unfortunately, at least 1.5 million Americans get their dosage requirements wrong and harm themselves. Therefore, being careful is better.


Your doctor plays an essential role in keeping you healthy. Unfortunately, you might be making countless doctor visits but not getting positive results. It is mainly because you aren’t asking the right questions. The article above mentions the things you must discuss with your doctor. This list is not exhaustive, but it can give you the starting points to consider during your doctor’s visit.